Work order:
Repeat every line further below that contains the word "lumo_energy_ha".

Material:
____________
--- i ---
306
Properties=species:S:1:pos:R:3:lowdin_charge:R:1 method="wB97M-V/def2-TZVPD" gap_ha=0.308 lumo_energy_ha=0.016
O 3.9754 2.5826 1.9571 -0.257
O -2.5773 0.4133 -6.3669 -0.237
O 3.5722 -9.3749 2.3119 -0.158
O 5.4896 -3.8354 -6.9292 -0.201
O 0.2152 -6.2600 -4.7285 -0.176
O -7.8210 -3.9507 3.5608 -0.175
O -3.9782 4.7281 5.1373 -0.183
O 0.7581 -0.2860 -0.6531 -0.233
O -5.7923 6.8406 1.4865 -0.187
O -3.7721 3.2693 -0.8270 -0.229
O -2.7941 -3.0257 -2.8812 -0.209
O 3.6464 -4.8754 3.1615 -0.211
O -2.7625 0.2711 5.1043 -0.195
O 2.8443 0.2159 5.8431 -0.179
O 7.6844 -4.9835 -1.2742 -0.205
O 1.7941 7.0134 -2.4286 -0.187
O 1.3690 -0.8740 -5.0069 -0.191
O -0.8182 8.4147 1.8038 -0.170
N 3.3689 2.2638 -5.7056 0.037
N -0.0973 4.8787 2.4007 0.057
N 7.2174 -2.0552 -0.8820 0.032
N 6.9052 -5.5757 -9.1713 0.019
N -6.4662 -0.6480 2.8566 0.038
N -7.7863 3.9779 2.5651 0.025
N 3.6594 -6.4481 -0.0472 0.037
N -1.2045 -2.3444 0.3127 0.068
N -3.3522 -0.9593 2.6237 0.066
N 2.0452 3.3363 3.7965 0.060
N -0.1403 6.3399 -4.5612 0.050
N 6.7641 0.2379 0.9319 0.028
N -2.3499 3.9921 -5.5130 0.065
N 1.2339 -4.2513 1.6716 0.050
N -4.2259 5.0258 7.9787 0.027
N -6.5449 1.3572 0.8672 0.033
N 1.8456 -4.8498 -1.6628 0.041
N -0.8056 3.0667 -0.0917 0.069
C 2.3473 -4.0284 -3.8397 -0.052
C -3.7480 4.4480 -1.6176 -0.099
C -1.6891 -3.1561 -0.7394 -0.405
C -3.7508 -2.4916 -3.7678 -0.088
C 0.7140 6.1292 -2.1926 -0.196
C -5.2184 1.5684 0.3321 -0.375
C 2.3524 7.4725 -1.1980 -0.089
C -7.1159 -2.7456 3.7295 -0.221
C -4.4508 7.4182 7.8062 -0.053
C -2.6628 -2.3902 -1.6293 -0.175
C 5.2108 -2.9622 -5.8380 -0.106
C -0.0203 -1.2677 -5.2971 -0.042
C -6.1586 5.8498 2.4387 -0.191
C 4.1676 -9.5078 3.6222 -0.086
C -2.3516 -1.0347 4.8170 -0.205
C -2.7770 1.7694 -6.5257 -0.223
C 6.8755 -4.2741 -7.0195 -0.138
C -7.7692 -4.7756 4.7548 -0.088
C 7.2420 -6.1617 -0.5463 -0.078
C 3.2814 -7.7871 0.4196 -0.410
C 3.9532 0.3664 -4.3302 -0.070
C -2.1967 2.5886 -5.3440 -0.431
C 4.2809 -5.3538 4.3555 -0.085
C 1.5616 0.4061 -5.3895 -0.251
C 1.1290 4.2638 -4.0178 -0.049
C 6.1718 -3.0454 -1.1173 -0.415
C 5.0925 -2.2920 -1.8686 -0.059
C 6.7301 -4.2034 -1.9877 -0.183
C -1.1855 -5.9807 -4.5591 -0.081
C 1.4290 6.6918 2.5906 -0.068
C -3.5996 5.8869 5.8920 -0.203
C -5.0983 0.5941 -0.8320 -0.067
C -3.0016 -0.4036 -7.4703 -0.069
C 0.6547 1.5261 4.2588 -0.073
C 2.0659 -3.2093 2.2061 -0.413
C 2.7430 -3.7987 3.4797 -0.178
C 1.2458 -1.9498 2.5808 -0.040
C -8.6657 6.1131 2.0954 -0.071
C 3.0977 0.8225 -5.5435 -0.372
C -1.1962 0.9651 1.0636 -0.070
C 8.1902 -6.4296 -7.4209 -0.080
C -0.0100 6.2941 2.5079 -0.445
C 1.3189 -4.8122 -3.0379 -0.406
C -2.2902 -4.3905 -0.0011 -0.035
C -5.0451 3.0890 -0.1936 -0.139
C 1.8761 2.1967 4.7206 -0.422
C -7.2361 -1.8186 2.5317 -0.436
C -0.8135 7.0579 1.4083 -0.186
C 1.0012 -6.2371 -3.5359 -0.177
C 5.4062 0.7280 0.9610 -0.406
C -0.1579 1.7762 0.2492 -0.348
C -1.3604 9.2311 0.7892 -0.087
C 4.0038 -0.5634 6.1824 -0.097
C 0.2246 5.4114 -3.5041 -0.425
C -6.8162 -2.3266 1.1990 -0.057
C -4.5321 6.0927 7.0942 -0.474
C -3.0238 4.4118 4.1240 -0.102
C 3.4303 3.3988 0.8932 -0.078
C -2.3633 0.7934 6.3347 -0.096
C 1.0200 -1.0604 -1.8095 -0.069
C -2.8945 2.1165 -4.0636 -0.049
C 4.5678 -0.3557 1.6558 -0.069
C -4.4953 7.3785 1.6236 -0.091
C 3.1078 1.3536 4.9878 -0.167
C 4.0698 -8.2322 1.6845 -0.221
C 5.3157 2.0102 1.8597 -0.131
C -7.4468 5.2047 1.8658 -0.408
C 6.9538 -5.6499 -7.7647 -0.477
C -3.3616 -1.6100 3.8780 -0.462
C 3.3813 -8.6743 -0.8174 -0.056
C -3.2827 -3.0853 3.5766 -0.061
C 0.0915 0.9219 -1.0244 -0.182
H -3.6722 6.7987 5.2991 0.117
H 3.9884 4.3241 0.7502 0.086
H 2.8670 -8.2927 -1.6994 0.061
H 5.9721 -5.2835 -9.4246 0.077
H 3.8336 -0.6972 -4.1237 0.041
H 6.1304 -6.3324 -7.5545 0.136
H -4.1093 0.7761 -1.2526 0.058
H 4.9815 -4.6012 4.7174 0.089
H 6.9079 -6.5288 -9.5056 0.074
H 1.6089 -1.8781 -1.3940 0.081
H 1.8190 -3.9415 -1.2219 0.048
H 9.0765 -5.9912 -7.8797 0.082
H -3.3483 0.0261 2.8452 0.068
H -6.8642 -1.5844 0.4021 0.061
H -4.3284 -1.5020 4.3697 0.128
H -5.5451 5.8498 6.7735 0.139
____________

Outcome:
Properties=species:S:1:pos:R:3:lowdin_charge:R:1 method="wB97M-V/def2-TZVPD" gap_ha=0.308 lumo_energy_ha=0.016